-- Source --
<<<
VASP calculation (PBE+U) on CoAsIr2O after structural relaxation.

Cell: 4.7227 4.7227 3.3128 Å, 90.00 90.00 90.00°
Last column: nearest neighbours and their distance in Å.
Element x y z (fractional)
Co: 0.0000 0.0000 0.0000  2 O 1.66
As: 0.5000 0.5000 0.5000  8 Ir 2.88
Ir: 0.0000 0.5000 0.0000  2 Co 2.36
Ir: 0.5000 0.0000 0.0000  2 Co 2.36
O: 0.0000 0.0000 0.5000  2 Co 1.66

Calculated values
Magnetization, μB per cell: 2.21
DFT total energy, eV for the cell shown: -28.59
Space-group type: No. 123


Material: ScWSe2
Method: DFT, PBE
State: relaxed

a = 9.255 Å, b = 3.281 Å, c = 4.869 Å
α = 90.00°, β = 104.03°, γ = 90.00°
Atoms (fractional coordinates):
1 Sc 0.000 0.000 0.000
2 Sc 0.500 0.500 0.000
3 W 0.259 0.500 0.400
4 W 0.759 0.000 0.400
5 Se 0.259 0.000 0.840
6 Se 0.483 0.000 0.480
7 Se 0.759 0.500 0.840
8 Se 0.983 0.500 0.480

Mass density ... 8.95 g/cm³
Formation energy (no corrections) ... -434 meV per atom
M_tot ... 0.00 μB/atom


Computed, not measured: Mo2PHN after structural relaxation at the GGA-PBE level of DFT.

Computed properties:
- DOS at the Fermi energy: 0.93 states/eV per atom
- Electronic total energy: -6.842 eV/atom
- Space group: P4/mmm (123)

Cell lengths 4.1247, 4.1247, 3.6397 Å; angles 90.00, 90.00, 90.00 degrees
Closest atoms and distances in Å follow each position.
Fractional positions:
Mo 0.0000 0.5000 0.0000  2 N 2.06
Mo 0.5000 0.0000 0.0000  2 N 2.06
P 0.0000 0.0000 0.5000  2 N 1.82
H 0.5000 0.5000 0.5000  8 Mo 2.75, 4 P 2.92
N 0.0000 0.0000 0.0000  2 P 1.82

Computed, not measured: PrMoHN2 after structural relaxation at the GGA-PBE level of DFT.

Computed properties:
- DOS at the Fermi energy: 0.35 states/eV per atom
- Electronic total energy: -7.859 eV/atom
- Space group: P4/mmm (123)

Cell lengths 4.0656, 4.0656, 3.6234 Å; angles 90.00, 90.00, 90.00 degrees
Closest atoms and distances in Å follow each position.
Fractional positions:
Pr 0.0000 0.0000 0.0000  8 N 2.72, 4 H 2.87
Mo 0.5000 0.5000 0.5000  2 H 1.81
H 0.5000 0.5000 0.0000  2 Mo 1.81
N 0.0000 0.5000 0.5000  2 Mo 2.03
N 0.5000 0.0000 0.5000  2 Mo 2.03

Computed, not measured: MoHSN2 after structural relaxation at the GGA-PBE level of DFT.

Computed properties:
- DOS at the Fermi energy: 0.54 states/eV per atom
- Electronic total energy: -6.019 eV/atom
- Space group: P4/mmm (123)

Cell lengths 3.8466, 3.8466, 5.0172 Å; angles 90.00, 90.00, 90.00 degrees
Closest atoms and distances in Å follow each position.
Fractional positions:
Mo 0.0000 0.0000 0.0000  4 N 1.92
H 0.5000 0.5000 0.5000  4 S 2.72
S 0.0000 0.0000 0.5000  2 Mo 2.51, 4 H 2.72
N 0.0000 0.5000 0.0000  2 Mo 1.92
N 0.5000 0.0000 0.0000  2 Mo 1.92

Computed, not measured: MoHSN2 after structural relaxation at the GGA-PBE level of DFT.

Computed properties:
- DOS at the Fermi energy: 0.32 states/eV per atom
- Electronic total energy: -5.473 eV/atom
- Space group: P4/mmm (123)

Cell lengths 3.8765, 3.8765, 2.9004 Å; angles 90.00, 90.00, 90.00 degrees
Closest atoms and distances in Å follow each position.
Fractional positions:
Mo 0.0000 0.0000 0.0000  8 N 2.42
H 0.5000 0.5000 0.5000  2 S 1.45
S 0.5000 0.5000 0.0000  2 H 1.45
N 0.0000 0.5000 0.5000  2 H 1.94
N 0.5000 0.0000 0.5000  2 H 1.94


Record 1
Material: ZrGe2PtC
Method: DFT, PBE-GGA
State: relaxed

Unit cell a=5.2601 b=4.0939 c=5.2601 alpha=90.00 beta=90.00 gamma=90.00
Closest atoms and distances in Å follow each position.
Positions (direct):
1 Pt 0.5000 0.5000 0.5000  8 Ge 3.33, 4 C 3.72
2 Zr 0.0000 0.0000 0.0000  2 C 2.05
3 Ge 0.5000 0.0000 0.0000  2 Zr 2.63
4 Ge 0.0000 0.0000 0.5000  2 Zr 2.63
5 C 0.0000 0.5000 0.0000  2 Zr 2.05

## Properties
The space group is P4/mmm, No. 123. The density of states at the Fermi level comes out at 5.359 states/eV/f.u. As for the energy relative to the elements: 31.28 kcal/mol of atoms.

***

Record 2
Material: Pu6Ge2C
Method: DFT, PBE-GGA
State: relaxed

Unit cell a=6.3671 b=6.3671 c=9.0549 alpha=90.00 beta=90.00 gamma=90.00
Closest atoms and distances in Å follow each position.
>>>

-- Request --
Restate all of the calculation results earlier on exactly.

-- Outcome --
VASP calculation (PBE+U) on CoAsIr2O after structural relaxation.

Cell: 4.7227 4.7227 3.3128 Å, 90.00 90.00 90.00°
Last column: nearest neighbours and their distance in Å.
Element x y z (fractional)
Co: 0.0000 0.0000 0.0000  2 O 1.66
As: 0.5000 0.5000 0.5000  8 Ir 2.88
Ir: 0.0000 0.5000 0.0000  2 Co 2.36
Ir: 0.5000 0.0000 0.0000  2 Co 2.36
O: 0.0000 0.0000 0.5000  2 Co 1.66

Calculated values
Magnetization, μB per cell: 2.21
DFT total energy, eV for the cell shown: -28.59
Space-group type: No. 123


Material: ScWSe2
Method: DFT, PBE
State: relaxed

a = 9.255 Å, b = 3.281 Å, c = 4.869 Å
α = 90.00°, β = 104.03°, γ = 90.00°
Atoms (fractional coordinates):
1 Sc 0.000 0.000 0.000
2 Sc 0.500 0.500 0.000
3 W 0.259 0.500 0.400
4 W 0.759 0.000 0.400
5 Se 0.259 0.000 0.840
6 Se 0.483 0.000 0.480
7 Se 0.759 0.500 0.840
8 Se 0.983 0.500 0.480

Mass density ... 8.95 g/cm³
Formation energy (no corrections) ... -434 meV per atom
M_tot ... 0.00 μB/atom


Computed, not measured: Mo2PHN after structural relaxation at the GGA-PBE level of DFT.

Computed properties:
- DOS at the Fermi energy: 0.93 states/eV per atom
- Electronic total energy: -6.842 eV/atom
- Space group: P4/mmm (123)

Cell lengths 4.1247, 4.1247, 3.6397 Å; angles 90.00, 90.00, 90.00 degrees
Closest atoms and distances in Å follow each position.
Fractional positions:
Mo 0.0000 0.5000 0.0000  2 N 2.06
Mo 0.5000 0.0000 0.0000  2 N 2.06
P 0.0000 0.0000 0.5000  2 N 1.82
H 0.5000 0.5000 0.5000  8 Mo 2.75, 4 P 2.92
N 0.0000 0.0000 0.0000  2 P 1.82

Computed, not measured: PrMoHN2 after structural relaxation at the GGA-PBE level of DFT.

Computed properties:
- DOS at the Fermi energy: 0.35 states/eV per atom
- Electronic total energy: -7.859 eV/atom
- Space group: P4/mmm (123)

Cell lengths 4.0656, 4.0656, 3.6234 Å; angles 90.00, 90.00, 90.00 degrees
Closest atoms and distances in Å follow each position.
Fractional positions:
Pr 0.0000 0.0000 0.0000  8 N 2.72, 4 H 2.87
Mo 0.5000 0.5000 0.5000  2 H 1.81
H 0.5000 0.5000 0.0000  2 Mo 1.81
N 0.0000 0.5000 0.5000  2 Mo 2.03
N 0.5000 0.0000 0.5000  2 Mo 2.03

Computed, not measured: MoHSN2 after structural relaxation at the GGA-PBE level of DFT.

Computed properties:
- DOS at the Fermi energy: 0.54 states/eV per atom
- Electronic total energy: -6.019 eV/atom
- Space group: P4/mmm (123)

Cell lengths 3.8466, 3.8466, 5.0172 Å; angles 90.00, 90.00, 90.00 degrees
Closest atoms and distances in Å follow each position.
Fractional positions:
Mo 0.0000 0.0000 0.0000  4 N 1.92
H 0.5000 0.5000 0.5000  4 S 2.72
S 0.0000 0.0000 0.5000  2 Mo 2.51, 4 H 2.72
N 0.0000 0.5000 0.0000  2 Mo 1.92
N 0.5000 0.0000 0.0000  2 Mo 1.92

Computed, not measured: MoHSN2 after structural relaxation at the GGA-PBE level of DFT.

Computed properties:
- DOS at the Fermi energy: 0.32 states/eV per atom
- Electronic total energy: -5.473 eV/atom
- Space group: P4/mmm (123)

Cell lengths 3.8765, 3.8765, 2.9004 Å; angles 90.00, 90.00, 90.00 degrees
Closest atoms and distances in Å follow each position.
Fractional positions:
Mo 0.0000 0.0000 0.0000  8 N 2.42
H 0.5000 0.5000 0.5000  2 S 1.45
S 0.5000 0.5000 0.0000  2 H 1.45
N 0.0000 0.5000 0.5000  2 H 1.94
N 0.5000 0.0000 0.5000  2 H 1.94


Record 1
Material: ZrGe2PtC
Method: DFT, PBE-GGA
State: relaxed

Unit cell a=5.2601 b=4.0939 c=5.2601 alpha=90.00 beta=90.00 gamma=90.00
Closest atoms and distances in Å follow each position.
Positions (direct):
1 Pt 0.5000 0.5000 0.5000  8 Ge 3.33, 4 C 3.72
2 Zr 0.0000 0.0000 0.0000  2 C 2.05
3 Ge 0.5000 0.0000 0.0000  2 Zr 2.63
4 Ge 0.0000 0.0000 0.5000  2 Zr 2.63
5 C 0.0000 0.5000 0.0000  2 Zr 2.05

## Properties
The space group is P4/mmm, No. 123. The density of states at the Fermi level comes out at 5.359 states/eV/f.u. As for the energy relative to the elements: 31.28 kcal/mol of atoms.

***

Record 2
Material: Pu6Ge2C
Method: DFT, PBE-GGA
State: relaxed

Unit cell a=6.3671 b=6.3671 c=9.0549 alpha=90.00 beta=90.00 gamma=90.00
Closest atoms and distances in Å follow each position.